Ilaria Dorigatti’s project „Where ether lipid metabolism meets immunology: a role for PEDS1“
SZABO-SCANDIC is funding Ilaria Dorigatti's research on deciphering the molecular regulatory role of an enzyme in ether lipid metabolism in the haematopoietic and lymphoid system with the Immunis 2022. It is already known from the literature that defects in related enzymes in the same metabolic pathway are the cause of the human peroxisome-related disease rhizomelic chondrodysplasia punctata (RCDP). There are several experimental models that could be used to study the human symptoms.
In the current phase of this project, we have so far been able to provide support with products from our suppliers Corning, Falcon and Santa Cruz. In addition to cell scrapers, various filter systems (syringes and bottle tops) have been used. These materials were used for the collection and purification of cells prior to flow cytometric analysis and for carrying out enzyme activity studies.
The data obtained so far from this study is very promising and we look forward to continuing to support the project.

Sarah Spöck’s project „TET activity safeguards against autoimmune lymphoproliferation“
As part of the Immunis sponsorship, Innsbruck scientist Sarah Spöck has also been funded since 2021 in her work on researching the role of Ten Eleven Translocation (TET1-3) enzymes in the immune system. With the help of preclinical mouse models, the scientist and her colleagues were able to gain new insights that point to important functions of TET enzymes in the body's antibody-producing immune cells, the B cells.
Their results show that the loss of TET enzymes in B cells cancels out important control mechanisms that guarantee that no antibodies are formed that are directed against the body itself. An increased number of antigen-activated B cells, so-called germinal centre cells, could be detected without immunisation by an exogenous antigen. These germinal centre cells form plasma cells that secrete IgG autoantibodies, which were detected in the serum. The scientist was thus able to show that TET enzymes play a central role in the prevention of antibody-mediated autoimmunity. In addition, a lack of TET enzymes appears to impair immune reactions against exogenous antigens, leading to a fatal combination of autoimmunity and immunodeficiency.
These results are particularly relevant as a loss of TET enzymes in immune cells in humans is observed more frequently with increasing age and is associated with diseases of the immune system. The next step is to investigate whether there is a connection between the lack of TET enzymes and the development of autoimmune diseases in humans. Such a finding could significantly improve the targeted treatment of affected patients. We are excited about future results and look forward to further collaboration and support!
SZABO-SCANDIC has sponsored this project with the following items:
- Recombinant protein recombinant mouse INFg
- Primary antibody TNF Antibody, HRP conjugated IgG und Ifng Antibody, HRP conjugated IgG
These calculated crystals were left in the article by mistake >
-- begin --
TlNi2Br: theoretical PXRD pattern (Cu Kα), based on a DFT-relaxed cell (GGA-PBE, Alexandria).

Crystal structure
a = 9.160 Å, b = 3.281 Å, c = 7.037 Å
α = 90.00°, β = 126.81°, γ = 90.00°
Space group C2/m (No. 12)
Inequivalent atoms, fractional coordinates:
Tl (0.000, 0.000, 0.000) [2 per cell]
Ni (0.157, 0.500, 0.847) [4 per cell]
Br (0.000, 0.000, 0.500) [2 per cell]

Main lines, in order of rising 2θ (2θ = 5–70°):
- 15.73 deg, intensity 96.1, (0 0 1)
- 24.27 deg, intensity 51.3, (2 0 0)
- 29.83 deg, intensity 50.2, (1 1 0)
- 30.17 deg, intensity 30.4, (1 1 -1)
- 38.13 deg, intensity 100.0, (1 1 -2)
- 39.43 deg, intensity 43.8, (4 0 -2)
- 41.62 deg, intensity 36.6, (3 1 -2)
- 46.32 deg, intensity 57.5, (3 1 0)

* * * * *

No. 1
This entry pairs a crystal structure of Sr5Tl3 with its calculated PXRD pattern. Radiation: λ = 1.5418 Å (Cu Kα). Structure: a cell relaxed with PBE.
Neutral-atom scattering factors, no anomalous dispersion.

Top 8 peaks for 10 to 90 degrees two-theta, in order of rising 2θ:
| 2θ (°) | d (Å) | I (rel.) |
| --- | --- | --- |
| 17.90 | 4.956 | 45 |
| 27.92 | 3.196 | 100 |
| 29.95 | 2.983 | 33 |
| 31.79 | 2.815 | 56 |
| 35.90 | 2.501 | 19 |
| 39.07 | 2.306 | 17 |
| 56.24 | 1.636 | 17 |
| 57.56 | 1.601 | 17 |

Structural model:
abc: 10.2098 10.2098 10.2098
angles: 128.31 128.31 76.13
Fractional positions:
1 Sr 0.0000 0.0000 0.0000
2 Sr 0.0245 0.5245 0.8407
3 Sr 0.1838 0.0245 0.5000
4 Sr 0.3162 0.8162 0.8407
5 Sr 0.4755 0.3162 0.5000
6 Sr 0.5000 0.5000 0.0000
7 Sr 0.5245 0.6838 0.5000
8 Sr 0.6838 0.1838 0.1593
9 Sr 0.8162 0.9755 0.5000
10 Sr 0.9755 0.4755 0.1593
11 Tl 0.1233 0.3767 0.5000
12 Tl 0.2500 0.2500 0.0000
13 Tl 0.3767 0.8767 0.2534
14 Tl 0.6233 0.1233 0.7466
15 Tl 0.7500 0.7500 0.0000
16 Tl 0.8767 0.6233 0.5000


No. 2
This entry pairs a crystal structure of LaTb6Se8 with its calculated PXRD pattern. Radiation: λ = 1.5418 Å (Cu Kα). Structure: a cell relaxed with PBE.
Neutral-atom scattering factors, no anomalous dispersion.

Top 8 peaks for 10 to 90 degrees two-theta, in order of rising 2θ:
| 2θ (°) | d (Å) | I (rel.) |
| --- | --- | --- |
| 26.64 | 3.346 | 13 |
| 30.85 | 2.898 | 100 |
| 44.20 | 2.049 | 74 |
| 52.35 | 1.748 | 7 |
| 54.87 | 1.673 | 26 |
| 64.28 | 1.449 | 12 |
| 73.00 | 1.296 | 32 |
| 81.32 | 1.183 | 24 |

Structural model:
abc: 8.1970 8.1970 8.1970
angles: 60.00 60.00 60.00
Fractional positions:
1 La 0.0000 0.0000 0.0000
2 Tb 0.0000 0.0000 0.5000
3 Tb 0.0000 0.5000 0.0000
4 Tb 0.0000 0.5000 0.5000
5 Tb 0.5000 0.0000 0.0000
6 Tb 0.5000 0.0000 0.5000
7 Tb 0.5000 0.5000 0.0000
8 Se 0.2500 0.2500 0.2500
9 Se 0.2612 0.2612 0.7388
10 Se 0.2612 0.7388 0.2612
11 Se 0.2612 0.7388 0.7388
12 Se 0.7388 0.2612 0.2612
13 Se 0.7388 0.2612 0.7388
14 Se 0.7388 0.7388 0.2612
15 Se 0.7500 0.7500 0.7500


No. 3
This entry pairs a crystal structure of Sr3CaRh with its calculated PXRD pattern. Radiation: λ = 1.5418 Å (Cu Kα). Structure: a cell relaxed with PBE.
Neutral-atom scattering factors, no anomalous dispersion.
-- stop --
Back to the article >
- Secondary antibody Alexa Fluor® 647-conjugated
- Falcon 15mL Tubes
- Falcon 50mL Tubes
- Falcon 5mL Serological Pipets
- Falcon 10mL Serological Pipets
- Falcon 6-Well Plates
- 96-Well Corning Microplates
- 70μm Cell Strainers Falcon
### Attached: calculated crystals
┌──
Simulated X-ray powder pattern
Compound: BaSi3Au7
Radiation: Cu Kα (weighted mean of Kα1 and Kα2)
Structure: a PBE-relaxed structure

Structural model:
```
22
Lattice="4.216 2.434 7.063 -4.216 2.434 7.063 0.000 -4.869 7.063" Properties=species:S:1:pos:R:3 pbc="T T T"
Ba 0.000 0.000 0.000
Ba 0.000 0.000 10.594
Si -2.833 -0.038 8.828
Si -1.383 -2.473 12.360
Si 1.450 -2.434 8.828
Si -1.450 2.434 12.360
Si 1.383 2.473 8.828
Si 2.833 0.038 12.360
Au -3.241 -0.935 11.189
Au -0.810 -3.274 9.999
Au -0.810 -1.595 7.658
Au 0.000 0.000 5.297
Au -2.430 2.339 9.999
Au -0.976 1.499 7.658
Au -1.786 -0.095 13.530
Au 1.786 0.095 7.658
Au 0.976 -1.499 13.530
Au 2.430 -2.339 11.189
Au 0.000 0.000 15.891
Au 0.810 1.595 13.530
Au 0.810 3.274 11.189
Au 3.241 0.935 9.999
```

Main lines, in order of rising 2θ (2θ from 15° to 90°):
3.006 Å, 29.72°, intensity 41
2.737 Å, 32.72°, intensity 89
2.490 Å, 36.07°, intensity 47
2.448 Å, 36.71°, intensity 100
2.313 Å, 38.94°, intensity 74
2.056 Å, 44.05°, intensity 36

***

Simulated X-ray powder pattern
Compound: Ba8Si43Au3
Radiation: Cu Kα (weighted mean of Kα1 and Kα2)
Structure: a PBE-relaxed structure

Structural model:
```
54
Lattice="7.394 4.269 6.031 -7.394 4.269 6.031 0.000 -8.538 6.031" Properties=species:S:1:pos:R:3 pbc="T T T"
Ba -1.764 -5.483 6.031
Ba -3.868 0.000 9.046
Ba -3.866 4.269 6.031
Ba 0.000 0.000 4.522
Ba 1.934 -3.350 9.046
Ba 0.000 0.000 13.571
Ba 5.630 1.213 6.031
Ba 1.934 3.350 9.046
Si -6.032 -2.456 10.068
Si -4.257 -3.466 8.639
Si -0.014 -3.159 3.443
Si 0.000 0.000 1.208
Si -2.727 -1.577 5.672
Si -2.729 1.592 3.443
Si -6.032 2.456 8.024
Si -3.123 0.800 5.681
Si -1.855 -3.214 9.046
Si 0.889 -6.451 8.024
Si 0.869 -3.105 5.681
Si -0.865 -2.112 7.106
Si -0.873 -5.420 9.453
Si -1.397 1.805 7.106
Si -4.257 3.466 9.453
Si 0.000 0.000 7.882
Si -0.002 3.150 5.672
Si 2.743 1.567 3.443
Si 2.729 -1.574 5.672
Si -1.397 -1.805 10.987
Si -3.123 -0.800 12.412
Si -1.855 3.214 9.046
Si 2.254 2.305 5.681
Si 2.261 0.307 7.106
Si -0.002 -3.150 12.420
Si -2.729 -1.592 14.649
Si 0.000 0.000 10.211
Si -2.727 1.577 12.420
Si -0.873 5.420 8.639
Si -0.865 2.112 10.987
Si 5.143 -3.996 10.068
Si 5.130 -1.953 8.639
Si 2.261 -0.307 10.987
Si 2.254 -2.305 12.412
Si 3.711 0.000 9.046
Si 0.869 3.105 12.412
Si 0.889 6.451 10.068
Si 2.729 1.574 12.420
Si -0.014 3.159 14.649
Si 0.000 0.000 16.884
Si 2.743 -1.567 14.649
Si 5.130 1.953 9.453
Si 5.143 3.996 8.024
Au -5.553 1.080 6.031
Au 1.841 -5.349 6.031
Au 3.712 4.269 6.031
```

Main lines, in order of rising 2θ (2θ from 15° to 90°):
4.268 Å, 20.81°, intensity 42
3.018 Å, 29.60°, intensity 40
2.794 Å, 32.04°, intensity 100
2.613 Å, 34.31°, intensity 31
1.696 Å, 54.08°, intensity 37
1.423 Å, 65.63°, intensity 16

***

Simulated X-ray powder pattern
Compound: Ba2ZnSiAu6
Radiation: Cu Kα (weighted mean of Kα1 and Kα2)
Structure: a PBE-relaxed structure

Structural model:
```
10
Lattice="-3.537 3.562 5.015 3.537 -3.562 5.015 3.537 3.562 -5.015" Properties=species:S:1:pos:R:3 pbc="T T T"
└──
Of all the submissions for the Immunis 2021 and 2022, the projects of the students from the Medical University of Innsbruck were successful. Which university will win the big sponsorship prize this year? The submission for the Immunis Sponsorship for Young Science 2024 is still possible until 30 June!